Deputy Pushes Stranded Elderly Woman In Wheelchair One Mile To Her Home

 A Sheriff’s deputy is winning praises after he pushed an elderly woman in a wheelchair for one mile to her home.

Lancaster Sheriff’s Deputies Chapman and Montanez, received a call regarding a traffic problem and were told that there was a wheelchair in the middle of the road, but it was a whole lot more complex when they arrived at the scene.

They saw a wheelchair at the side of the road, with “an elderly female sitting in it.” wrote the Lancaster sheriff’s office on Facebook.

The poor woman’s motorized wheelchair had ran out of power and she became stranded. The kind deputies offered her a ride, but realized that the wheelchair was too heavy to get into their patrol car and the chair could not be folded and the woman did not want to leave her wheelchair behind.

_These records of crystals were left in the page by mistake_
~~~
No. 1
# PmDy2Ho, optimized geometry, DFT GGA-PBE
# * formation energy: 0.02 eV per atom
# * final energy: -55.4 eV for the cell shown
# * DOS at the Fermi energy: 16.2 states/eV/cell
data_PmDy2Ho
_symmetry_space_group_name_H-M 'R -3 m'
_symmetry_Int_Tables_number 166
_symmetry_space_group_name_Hall '-R 3 2"'
_cell_length_a 3.5640
_cell_length_b 3.5640
_cell_length_c 34.8533
_cell_angle_alpha 90.00
_cell_angle_beta 90.00
_cell_angle_gamma 120.00
loop_
_atom_site_label
_atom_site_type_symbol
_atom_site_fract_x
_atom_site_fract_y
_atom_site_fract_z
Pm1 Pm 0.0000 0.0000 0.0000
Dy1 Dy 0.0000 0.0000 0.2488
Ho1 Ho 0.0000 0.0000 0.5000

***

No. 2
# Na3NpSc3S8, optimized geometry, DFT GGA-PBE
# * final energy: -280.0 eV for the cell shown
# * DOS at the Fermi energy: 37.3 states/eV/cell
data_Na3NpSc3S8
_symmetry_space_group_name_H-M 'R -3 m'
_symmetry_Int_Tables_number 166
_symmetry_space_group_name_Hall '-R 3 2"'
_cell_length_a 7.5999
_cell_length_b 7.5999
_cell_length_c 20.0850
_cell_angle_alpha 90.00
_cell_angle_beta 90.00
_cell_angle_gamma 120.00
loop_
_atom_site_label
_atom_site_type_symbol
_atom_site_fract_x
_atom_site_fract_y
_atom_site_fract_z
Na1 Na 0.0000 0.5000 0.0000
Np1 Np 0.0000 0.0000 0.5000
Sc1 Sc 0.0000 0.5000 0.5000
S1 S 0.0000 0.0000 0.2385
S2 S 0.0086 0.5043 0.7615

***

No. 3
# Tb2Sm2HoMg2, optimized geometry, DFT GGA-PBE
# * formation energy: -0.01 eV per atom
# * final energy: -79.7 eV for the cell shown
# * DOS at the Fermi energy: 22.3 states/eV/cell
data_Tb2Sm2HoMg2
_symmetry_space_group_name_H-M 'R -3 m'
_symmetry_Int_Tables_number 166
_symmetry_space_group_name_Hall '-R 3 2"'
_cell_length_a 5.4755
_cell_length_b 5.4755
_cell_length_c 24.1875
_cell_angle_alpha 90.00
_cell_angle_beta 90.00
_cell_angle_gamma 120.00
loop_
_atom_site_label
_atom_site_type_symbol
_atom_site_fract_x
_atom_site_fract_y
_atom_site_fract_z
Tb1 Tb 0.0000 0.0000 0.0739
Sm1 Sm 0.0000 0.0000 0.3446
Ho1 Ho 0.0000 0.0000 0.5000
Mg1 Mg 0.0000 0.0000 0.2098

***

No. 4
# NaGa4Pd, optimized geometry, DFT GGA-PBE
# * formation energy: -0.18 eV per atom
# * final energy: -157.8 eV for the cell shown
# * DOS at the Fermi energy: 19.5 states/eV/cell
data_NaGa4Pd
_symmetry_space_group_name_H-M 'F m m m'
_symmetry_Int_Tables_number 69
_symmetry_space_group_name_Hall '-F 2 2'
_cell_length_a 8.7531
_cell_length_b 9.3914
_cell_length_c 11.6786
_cell_angle_alpha 90.00
_cell_angle_beta 90.00
_cell_angle_gamma 90.00
loop_
_atom_site_label
_atom_site_type_symbol
_atom_site_fract_x
_atom_site_fract_y
_atom_site_fract_z
Na1 Na 0.2500 0.2500 0.0000
Ga1 Ga 0.0000 0.1379 0.1678
Ga2 Ga 0.1640 0.0000 0.3581
Pd1 Pd 0.2500 0.2500 0.2500

***

No. 5
# GaP2RuF, optimized geometry, DFT GGA-PBE
# * final energy: -25.5 eV for the cell shown
# * DOS at the Fermi energy: 3.0 states/eV/cell
data_GaP2RuF
_symmetry_space_group_name_H-M 'P 4/m m m'
_symmetry_Int_Tables_number 123
_symmetry_space_group_name_Hall '-P 4 2'
_cell_length_a 4.6047
_cell_length_b 4.6047
_cell_length_c 4.2481
~~~

One of the deputies, Deputy Montanez did something incredible which was behind the call of duty, he got out of the patrol car and started walking. The deputy pushed the woman all the way to her home, which was about a mile away, wearing his full uniform and boots, wrote the Lancaster Sherrif’s officer on Facebook.

Montanez’s partner who drove the patrol car behind them teased the walking deputy saying “You can pick it up, you’re only going about one mile an hour,” Deputy Chapman is heard saying in the video he took of Montanez’s good deed. Both Montanez and the elderly woman had a hearty laugh.

Watch: Officer Helps Stranded Woman In Wheelchair Reach Home

Montanez pushing wheelchair

........
## SmSn3H (GGA-PBE)

Data for a relaxed structure of SmSn3H.

Output
total DFT energy (no corrections)	-21.2	eV per cell
spin magnetization	0.000	μB per formula unit

a = 4.790 Å, b = 4.790 Å, c = 4.790 Å
α = 90.00°, β = 90.00°, γ = 90.00°
Fractional coordinates of all 5 atoms:
Sm1 0.000 0.000 0.000
Sn1 0.000 0.500 0.500
Sn2 0.500 0.000 0.500
Sn3 0.500 0.500 0.000
H1 0.500 0.500 0.500
........

Deputies Chapman and Montanez received a call of a traffic hazard, a wheelchair in the middle of the road. When they arrived, they did find the wheelchair on the side of the road, but with an elderly female sitting in it!

Her motorized wheelchair had run out of power and she was stranded. Deputies Chapman and Montanez quickly offered her a ride home, but she was very upset about leaving her only means of mobility behind. The wheelchair, being quite heavy and unable to fold because of the battery pack, did not fit in their patrol vehicle.

-- Next to the entry, the page also holds calculated crystals --
........
No. 1
A relaxed Y2CuSe crystal. Source: Alexandria via LeMat-Bulk, functional PBE.

## Properties
**E_tot**: -24.19 eV/cell
**DOS at the Fermi energy**: 3.5 states/eV per cell

Structure (CIF):
```
data_Y2CuSe
_cell_length_a 4.0630
_cell_length_b 4.0630
_cell_length_c 5.8201
_cell_angle_alpha 90.00
_cell_angle_beta 90.00
_cell_angle_gamma 90.00
_space_group_name_H-M_alt 'P 4/m m m'
_space_group_IT_number 123
_space_group_name_Hall '-P 4 2'
loop_
_atom_site_label
_atom_site_type_symbol
_atom_site_fract_x
_atom_site_fract_y
_atom_site_fract_z
_atom_site_occupancy
Y1 Y 0.0000 0.0000 0.0000 1
Y2 Y 0.5000 0.5000 0.5000 1
Cu1 Cu 0.0000 0.0000 0.5000 1
Se1 Se 0.5000 0.5000 0.0000 1
```


No. 2
A relaxed Ca2PIr crystal. Source: Alexandria via LeMat-Bulk, functional PBE.

## Properties
**E_tot**: -38.08 eV/cell
**DOS at the Fermi energy**: 7.6 states/eV per cell

Structure (CIF):
```
data_Ca2PIr
_cell_length_a 7.4345
_cell_length_b 3.0608
_cell_length_c 7.8800
_cell_angle_alpha 90.00
_cell_angle_beta 98.58
_cell_angle_gamma 90.00
_space_group_name_H-M_alt 'C 1 2/m 1'
_space_group_IT_number 12
_space_group_name_Hall '-C 2y'
loop_
_atom_site_label
_atom_site_type_symbol
_atom_site_fract_x
_atom_site_fract_y
_atom_site_fract_z
_atom_site_occupancy
Ca1 Ca 0.2461 0.0000 0.2432 1
P1 P 0.0000 0.5000 0.0000 1
Ir1 Ir 0.0000 0.0000 0.5000 1
```

----------

DFT (PBE) results for crystalline Pu2Hf3ZrN6 at its relaxed geometry.

a = 5.6962 Å, b = 5.6962 Å, c = 5.7685 Å
α = 99.45°, β = 99.45°, γ = 120.05°
Last column: nearest neighbours and their distance in Å.
Element x y z (fractional)
N 0.4189 0.0896 0.2698  3 Hf 2.26-2.30, 1 Zr 2.38, 2 Pu 2.41
N 0.9104 0.5811 0.7302  3 Hf 2.26-2.30, 1 Zr 2.38, 2 Pu 2.41
N 0.5811 0.9104 0.7302  3 Hf 2.26-2.30, 1 Zr 2.38, 2 Pu 2.41
N 0.7621 0.7621 0.2732  3 Hf 2.25-2.28, 1 Zr 2.39, 2 Pu 2.42
N 0.2379 0.2379 0.7268  3 Hf 2.25-2.28, 1 Zr 2.39, 2 Pu 2.42
N 0.0896 0.4189 0.2698  3 Hf 2.26-2.30, 1 Zr 2.38, 2 Pu 2.41
Hf 0.8342 0.1658 0.5000  6 N 2.25-2.30
Hf 0.1658 0.8342 0.5000  6 N 2.25-2.30
Hf 0.5000 0.5000 0.5000  6 N 2.27-2.28
Zr 0.0000 0.0000 0.0000  6 N 2.38-2.39
Pu 0.3337 0.6663 0.0000  6 N 2.41-2.42
Pu 0.6663 0.3337 0.0000  6 N 2.41-2.42

Values from the calculation:
Raw formation energy: -1.63 eV/atom
E_tot: -11.3854 eV per atom
Size of the total moment: 0.786 μB/atom

***

DFT (PBE) results for crystalline ThCuPdRh at its relaxed geometry.

a = 4.7236 Å, b = 4.7236 Å, c = 4.7236 Å
α = 60.00°, β = 60.00°, γ = 60.00°
Last column: nearest neighbours and their distance in Å.
Element x y z (fractional)
Rh 0.0000 0.0000 0.0000  4 Cu 2.89, 4 Th 2.89
Pd 0.5000 0.5000 0.5000  4 Th 2.89, 4 Cu 2.89
Cu 0.2500 0.2500 0.2500  4 Pd 2.89, 4 Rh 2.89
Th 0.7500 0.7500 0.7500  4 Rh 2.89, 4 Pd 2.89

Values from the calculation:
Energy of formation: -1.99 eV/f.u.
E_tot: -6.5125 eV per atom
Size of the total moment: 0.000 μB/atom
Offset from the most stable computed form: 0.156 eV per atom

***
........

That’s when Deputy Montanez stepped up. He decided he would push the wheelchair to her home, about one mile, in full uniform and boots. Deputy Chapman teased him about his “slow” pace and you can hear our eldelry friend getting a good laugh out of it!

We are so incredibly grateful to all of our deputies for the work they do on a daily basis. My hero wears a badge.

#LASD #AV411 #soundon #workoutoftheday #myherowearsabadge
Los Angeles County Sheriff’s Department

Posted by Lancaster Sheriff’s Station on Tuesday, 2 October 2018

We salute our police and sheriffs and because of deputies like these we are safe.

Verse of the Day

“But he knows the way that I take; when he has tested me, I will come forth as gold. My feet have closely followed his steps; I have kept to his way without turning aside.”

Job 23:10-11